Communication Towers
Incident Investigations
Communications Tower
The following communications tower incidents have been investigated by OSHA. Most of them were reported to OSHA, or OSHA learned about them from news reports, etc. There have been tower incidents that OSHA did not investigate because they were not reported to OSHA as required.

- November 22, 2013, Optica Network Technologies, Wichita, Kansas. A 25-year-old worker performing cell tower maintenance was killed when he fell 50 feet.
What comes next are calculated crystals, not part of the piece:
/*
Pr3TeIrN: theoretical XRD peak list (Cu Kα), based on a structure optimized by DFT (PBE).
Kinematic intensities with the Lorentz-polarization factor, no thermal factor.

Top 8 peaks for 10° ≤ 2θ ≤ 80°, by angle:
2θ (°)  d (Å)  Rel. int.  hkl
12.0  7.355  69  1 0 -1
28.5  3.136  70  0 0 3
29.1  3.064  55  2 1 0
29.3  3.050  100  2 1 -1
37.3  2.408  53  2 1 2
43.2  2.092  30  0 2 0
45.0  2.016  30  2 1 -4
52.6  1.740  25  0 2 3

Atomic structure:
Unit cell a=9.2195 b=4.1841 c=9.6417 alpha=90.00 beta=102.62 gamma=90.00
Space group P2_1/m (No. 11)
Asymmetric unit:
1 Pr 0.0735 0.2500 0.3667
2 Pr 0.3399 0.2500 0.9873
3 Pr 0.3714 0.7500 0.6581
4 Te 0.3258 0.7500 0.2833
5 Ir 0.1514 0.2500 0.6633
6 N 0.4119 0.7500 0.8996
*/
The calculated crystals stop here:
- August 17, 2013, Custom Tower, LLC, Louise, Mississippi. A worker installing microwave dishes on a cell tower was killed when he fell 125 feet. The worker, who was not using a double lanyard, fell after disconnecting his positioning lanyard to reposition himself.
- August 12, 2013, Transmit PM LLC, Coats, NC. A worker performing installation services for Sprint under the direction of Alcatel-Lucent died from a fall.
- July 8, 2013, Monarch Towers, Mountrail County, ND. Two workers were adding structural supports to a 300 foot tower. One worker fell and struck the other, causing them both to die from a 250 foot fall.
- May 28, 2013, Byrd Telecom, Georgetown, MS. Workers were raising a new antenna to the top of a tower to make the tower taller. While installing a hoisting device to raise the boom a cable broke, causing two men to fall to their deaths.
- April 3, 2013, Excell Communications, Birmingham, AL. No fatality, injury - Worker survived a 140 foot fall.
- April 5, 2013, S25 Towerserv, LLC, Franklin, PA. Two employees were hoisting new equipment on a tower, one employee was at approximately 190 feet, the other at 140 feet. The equipment being hoisted came loose striking the lower employee causing him to fall.
- March 19, 2013, Eduardo Corona, Laredo, TX. While installing the last 10-foot section of a 90 foot tower, the bottom section collapsed, causing one employee to fall to the ground and die.
- January 4, 2013, Ws Consulting & Construction, Mount Vernon, Washington. Employee fell 80 feet and died, had fall protection gear on, but the fall protection anchorage point failed.
- August 11, 2011, Hayden Tower Service, Inc., Brookfield, MO. A worker dismantling a cellular tower fell 80 feet and later died in the hospital.
- August 3, 2011, Sink Tower Erection Co., Hollister, NC. A worker was making modifications to 300 foot cellular tower when he fell 50 feet and was killed.
- June 27, 2012, Midwest Steeplejacks, Inc., Lisbon, ND. Employee was on a 300-foot telecommunication tower wearing an ExoFit XP Tower Climbing Harness equipped with a positioning device and twin lanyards, using only one tie-off point. Employee unhooked his positioning device to reposition himself, and fell approximately 153 feet and died.
- October 12. 2011, Ultimate Tower Service, Inc., Newton, MA. An employee was killed from fall while installing a new ladder on a 1000 foot tower.
Construction Incidents Investigation Engineering Reports
- Investigation of the April 19, 2018, Communication Tower Collapse in Fordland, Missouri. (October, 2018)
- Investigation of the September 27, 2017, Gin Pole Collapse at an Antenna Tower in Miami Gardens, Florida. (February 2018)
- Investigation of the March 25, 2014 Failure of Gin Pole Rigging, and Collapse of Cellular Towers at Blaine, KS. (August 2014).
- Investigation of the February 1, 2014 Collapse of a Telecommunication Tower at the Summit Park Community in Clarksburg, WV). (July 2014).
- Investigation of the May 28, 2013 failure of gin pole rigging at a cell tower in Georgetown, MS. (October 2013).
- Investigation of the September 4, 2003 Collapse of the 1000-foot High TV Antenna Tower in Huntsville, AL. (January 2004).
- Investigation of the September 24, 2002 Collapse of the 1965-foot High KDUH-TV Antenna Tower in Hemingford, NE. (March 2003).
- Investigation of the October 23, 1997 Collapse of the 1889-foot High TV Antenna Tower in Raymond, MS. (April 1998).
- Investigation of the October 12, 1996 Collapse of a 1500-Feet High Antenna Tower in Cedar Hill, TX.
Additional Information
- FACE Reports
- Cell Tower Technician Dies after Antenna Array Falls and Decapitates Him. Kentucky Incident Number: 14KY032, (August 17, 2015)
- Tower Technician Killed When Guyed Tower Collapsed. NIOSH, New York Case Report: 09NY095, (December 2009).
- 55-Year-Old Communications Tower Worker Killed After Falling 60 Feet. NIOSH, New Jersey Case Report: 08NJ052, (March 10, 2010).
- Three Tower Painters Die After Falling 1,200 Feet When Riding the Hoist Line. NIOSH, In-house FACE Report 2000-07.
- Tower Construction Worker Dies Following 40-Foot Fall From Cellular Tower. NIOSH, MO FACE Investigation 99MO138, (May 22, 2001).
- Tower Painter Dies and a Second Painter Injured After Falling 900 Feet While inside a Man Basket. NIOSH, FACE 9821.
- Tower Construction Worker Dies Following 200 Foot Fall From Radio Tower. NIOSH, MO FACE Investigation: 98MO102, (May 13, 1999).
- Hispanic Tower Erector Falls to Death from Television Tower. NIOSH, Nebraska Case Report: 03NE019, (January 4, 2005).
- Preventing Injuries and Deaths from Falls during Construction and Maintenance of Telecommunication Towers. NIOSH Alert Publication Number 2001–156, (July 2001)
- 3M recalls fall prevention device over safety concerns
DBI-SALA Lad-Saf Sleeve - Stop Use and Recall/Replacement, (August 30, 2016). - Communication Tower Safety: Request for Information. Federal Registers, (April 15, 2015).
- OSHA seeks comment on better protections for communication tower workers. OSHA News Release, (April 14, 2015).